Did you ever see a ghost? They maybe sitting right next to you... Although Brooke didn't like their new house, she surely did like the empty street because at last she felt she may be at peace but did she really??
"Hello! Mom!?"
"Brooke, what's wrong? Why are you calling me?"
"Mom I'm scared, please come home."
"Brooke, what are you talking about I still have 3 hours of work."
"Mom there is someone at the house, please I'm scared"
"Brooke! Don't play with me."
" Mom I'm not playing, please come home."
"Where is that man."
"What man?"
"The man that's inside the house."
"Mom it's not a man…you won't believe me but I heard someone up from my room."
"Mom I think there is a ghost in our house, I'm scared."
"Mom, just come home I'm all alone and scared—"
"BROOKE!! What the heck are you saying, you think I'm up for your games, Iam here working my ass off and you call me up in the middle of my work to talk nonsense?"
"Mom!! I'm not lying please Iam scared—"
"Be quite! Brooke I'm hanging up, we'll talk after I come back home."
The room felt eerie, I sat on the floor of my living room still holding the phone in my hand, all I could hear was my heavy breathe, my body won't stop moving, the phone slowly slipped off my hands because of my sweat, it hit the floor making a loud noise which echoed throughout the entire house, when will Brad come back home. I thought, I tried to stand up by grabbing the table but my legs felt so weak I could barely feel them, I slowly walked towards the front door and tried to grab the door nob when it suddenly pushed opened itself,
"Brad!" I shouted and quickly hugged him,
"Eww!" He cried and tried to push me away, but I held him even tighter, "why are you so late!?"
Brad pinched my stomach so hard that I backed away, "Ow!"
"What's wrong with you today" he said as he quickly tried to get away from me,
"Iam just happy your back." I replied
"Your creepy!"
Brad stuck out his tongue at me and ran upstairs as fast as he could.
"Wait Brad!" I called out, "don't go upstairs"
But he didn't stop and ran even faster up, I joined him and ran upstairs trying to catch him but as I reached the corridor upstairs I slipped and fell down on my elbow, " Ow!! What's happening today!" I cried out rolling on the floor the pain had blurred my vision, Brad slowly walked towards me I could see him from his knee below he bent down and rubbed my head, " are you okay?" He said, the sharp pain slowly faded away, I slowly got up on my feet, my elbow was still throbbing, "your the one who said not to run on the stairs but you did it too." Brad said,
I slowly slapped the top of his head and said "and look what you did to me."
"It's your fault, you fell down."
"How was school today?"
"That big old lady always yell at us."
"Don't call MS. Blackberry a big old lady."
Ms. Blackberry is Brad's kindergarten teacher and he really hates her because she always yells at him.
"Ok, Brad listen to me." I said, "Who is Robbie?"
"You won't believe me even if I told you."
"I saw him today."
Brad's eyes grew wide open, " you saw him?"
"Well I didn't see him but I think I heard his voice."
"Robbie is an old man." Brad said, " and he said this is his house and that we have to get out or else he will be angry."
"And what else do you know?"
Brad stayed quiet for a while he looked like he was reluctant to tell me.
"Brad what's wrong?"
"I didn't see him for a while." He said
"Ok Brad tonight after mom comes home tell her everything about Robbie."
Brad seemed confused, " but why? "he said
"we cannot stay here, we will let mom know that there is something wrong with this house."
"Brooke." Mom said with a sigh, holding her forehead with her hands, "how many times to I have to tell you, don't speak nonsense."
I was irritated by mom because she will not believe what I say, "mom I'm not lying, something is really wrong with this house, Brad tell her!"
Brad seemed nervous at first, like he didn't want to tell anything, "Brad!"
" Mom I saw him." He said, " I saw Robbie he was in my room."
-- Someone pasted molecular data at this point --
-- begin --
Entry 1:
{"formula": "C32H35N4O2SSiZn", "method": "ωB97M-V with the def2-TZVPD basis set", "lumo_energy_ev": 2.5, "total_charge": -1, "gap_ev": 7.84, "elements": ["Zn", "O", "C", "N", "C", "C", "C", "C", "C", "C", "N", "C", "C", "C", "C", "C", "N", "H", "H", "H", "H", "H", "H", "H", "H", "H", "H", "C", "C", "C", "C", "C", "C", "C", "C", "S", "C", "N", "C", "C", "C", "C", "C", "C", "C", "C", "H", "H", "H", "H", "H", "H", "H", "H", "H", "H", "H", "H", "H", "H", "H", "H", "C", "Si", "C", "C", "O", "H", "H", "H", "H", "H", "H", "H", "H", "H"], "xyz": [[-0.273, -0.331, 0.176], [1.599, -3.775, -1.451], [1.256, -2.879, -0.659], [0.145, -2.150, -0.678], [-0.567, -2.191, -1.934], [-0.173, -0.968, -2.742], [-0.262, -0.936, -4.131], [0.203, 0.171, -4.813], [0.749, 1.227, -4.094], [0.762, 1.133, -2.714], [0.302, 0.073, -2.055], [2.238, -2.562, 0.448], [2.722, -3.584, 1.261], [3.654, -3.278, 2.233], [4.099, -1.966, 2.343], [3.581, -1.026, 1.469], [2.668, -1.306, 0.541], [-0.321, -3.085, -2.512], [-1.646, -2.157, -1.760], [-0.668, -1.791, -4.657], [0.160, 0.207, -5.895], [1.151, 2.100, -4.588], [1.155, 1.935, -2.098], [2.361, -4.593, 1.108], [4.034, -4.047, 2.895], [4.825, -1.676, 3.091], [3.898, 0.010, 1.526], [-1.955, 3.993, -4.174], [-2.590, 5.011, -3.229], [-4.116, 4.865, -3.314], [-2.182, 6.412, -3.703], [-2.159, 4.797, -1.777], [-2.583, 5.713, -0.797], [-2.301, 5.536, 0.541], [-1.571, 4.414, 0.920], [-1.143, 3.860, 2.499], [-0.393, 2.440, 1.771], [-0.434, 2.406, 0.482], [-1.118, 3.496, -0.031], [-1.421, 3.695, -1.382], [0.114, 1.359, 2.637], [0.453, 1.653, 3.962], [0.821, 0.638, 4.826], [0.831, -0.672, 4.358], [0.511, -0.942, 3.036], [0.156, 0.055, 2.119], [-2.268, 4.204, -5.199], [-2.256, 2.971, -3.940], [-0.865, 4.043, -4.135], [-4.450, 4.968, -4.351], [-4.622, 5.626, -2.717], [-4.428, 3.886, -2.946], [-2.531, 6.576, -4.726], [-1.095, 6.521, -3.691], [-2.605, 7.197, -3.077], [-3.175, 6.573, -1.089], [-2.660, 6.242, 1.278], [-1.109, 2.940, -2.088], [0.436, 2.678, 4.319], [1.090, 0.862, 5.851], [1.101, -1.482, 5.028], [0.547, -1.975, 2.700], [-4.764, -1.330, -0.412], [-3.653, 0.168, -0.711], [-4.453, 1.592, 0.238], [-3.821, 0.588, -2.551], [-2.147, -0.104, -0.307], [-5.800, -1.125, -0.701], [-4.754, -1.608, 0.645], [-4.416, -2.194, -0.985], [-5.511, 1.699, -0.020], [-3.955, 2.543, 0.030], [-4.383, 1.413, 1.315], [-4.825, 0.945, -2.804], [-3.607, -0.285, -3.174], [-3.103, 1.368, -2.824]]}

Entry 2:
-- stop --
-- The text goes on --
"Look I told you even Brad says he saw something." I said joining him.
But mom remained stubborn and she threw her bag on the sofa and took a deep breath and softly said, " I know what you guys are up to you don't want to stay here that's why your making all this up isn't?"
I grinded my teeth in anger and shouted, "WHY WOULD WE LIE! We're telling the truth and you just would believe us."
"Ok! THAT'S ENOUGH!!" Mom burst out, " if you guys really don't want to stay here, I'll send Brad to a boarding school and you'll be with Grandma."
"Oh! That's better." I said, "at least grandma's house is not haunted."
### The article is interrupted by calculated molecules
<<<
Record 1
# C6H25NO5

A 6-piece molecular cluster, C6H25NO5 overall in a non-equilibrium geometry (ωB97M-V/def2-TZVPD, the Open Molecules 2025 dataset).

XYZ file:
```
37
Properties=species:S:1:pos:R:3:forces:R:3
C -1.58813 0.85766 4.10735 2.2 0.0 -0.8
C -1.69324 0.20609 2.71094 0.3 0.5 1.0
C -0.48478 -0.71136 2.45820 -1.3 -0.6 0.2
C -0.89083 -2.00159 1.73312 1.2 0.7 -1.6
C -1.70932 -1.97097 0.40657 1.6 0.5 0.9
C -1.05371 -1.42993 -0.89023 1.3 -0.8 0.1
N 0.27467 -0.73216 -0.86858 -0.7 0.3 0.3
H -2.47118 1.24641 4.53251 -1.2 0.1 0.4
H -0.91230 1.71398 4.00640 0.0 0.0 0.1
H -1.04636 0.18723 4.78724 -0.6 0.0 0.1
H -1.62995 1.01817 1.99228 -0.5 0.0 -0.3
H -2.67159 -0.27077 2.64297 0.2 -0.3 -0.3
H -0.10350 -1.10764 3.39457 0.1 0.3 0.4
H 0.30810 -0.10954 2.03980 0.3 -0.1 -0.5
H 0.01407 -2.60015 1.57225 0.0 -0.1 0.0
H -1.49050 -2.56668 2.40612 -0.5 -0.5 0.7
H -2.57131 -1.35045 0.62125 -0.7 -0.6 -0.1
H -1.84194 -3.05189 0.28908 -1.1 0.4 -0.4
H -0.76567 -2.29819 -1.48787 -0.8 -0.1 -0.3
H -1.78876 -0.82246 -1.41225 0.2 0.0 -0.3
H 0.16241 0.25697 -0.67912 0.0 0.1 0.1
H 0.82038 -1.08983 -0.08925 0.0 0.0 -0.2
H 1.59167 3.54434 0.69079 0.5 -0.1 -0.1
H 2.78247 2.75713 1.30831 -0.6 0.5 -0.1
O 2.01251 3.31207 1.52834 0.2 -0.4 0.2
H 1.62190 3.09952 -2.35841 0.6 0.4 0.2
H 0.63980 3.54515 -1.43312 -0.6 0.4 0.5
O 1.59180 3.59750 -1.50872 -0.2 -0.7 -0.7
H 2.13794 -1.83869 -2.73134 0.4 -0.6 0.9
H 3.09084 -3.13093 -2.60465 -0.3 0.2 0.5
O 2.71767 -2.46443 -3.18218 -0.1 0.4 -1.0
H 1.43816 1.40363 -4.04493 -0.5 0.5 0.0
H 0.40152 2.33978 -4.64753 0.1 0.1 0.1
O 1.13001 2.33478 -4.01669 0.4 -0.4 -0.1
H 0.21242 -0.42683 -3.17867 -0.3 0.4 0.1
H 1.20290 -1.08926 -4.01303 -0.2 0.3 -1.0
O 0.56185 -0.35668 -4.08153 0.6 -0.9 0.7
```
Forces are in eV/Å.

The largest force on an atom is 0.0445 hartree/bohr. The value obtained for the energy is -18354.62406 eV. As for the relative energy (zero: lowest compared OMol25 entry of this formula, charge and spin): 1.653 eV. As for the frontier orbital gap: 10.45 eV. As for the SMILES: CCCCCCN.O.O.O.O.O.



Record 2
# C4H6O

One molecule with the formula C4H6O in a non-equilibrium geometry (ωB97M-V/def2-TZVPD, the Open Molecules 2025 dataset).

XYZ file:
```
11
Properties=species:S:1:pos:R:3:forces:R:3
C -0.80404 0.03315 -2.18252 1.1 2.0 1.0
C -0.36526 -0.49582 -1.04765 -0.1 3.6 -0.9
C 0.38018 -0.17559 1.18452 -2.1 -2.4 -2.2
C 1.00671 0.53537 2.05650 0.6 2.2 1.4
H -1.33860 -0.58343 -2.85998 -0.3 -0.1 -0.6
H -0.60142 1.14853 -2.30137 -0.4 -1.8 -0.4
H -0.64297 -1.40730 -0.75003 -0.6 -3.8 1.1
H -0.19703 -1.11859 1.30524 0.7 0.6 0.4
H 1.28701 1.52451 1.56188 0.2 -1.2 1.5
H 1.01025 0.26478 3.15285 0.3 0.6 -1.6
O 0.26519 0.27438 -0.11944 0.5 0.3 0.2
```
Forces are in eV/Å.
>>>
Mom gave me a glare before picking up her bag from the sofa then she said, "I'm tired and I don't want anyone of you talking about seeing things or hearing."
I knew she wouldn't believe us, why to adults always think we're lying, when they are the one who lies all the time.
"Com'on Brad, let's go to your room." I grabbed Brad's hands and was walking up the stairs when the doorbell rang.
I quickly went and answered the door, Mrs. Rose stood on the porch holding her cane on her right and holding a pie which smelled like apple on her left.
"Hi dear, can I come in." She said smiling at me her lips was matte red and it stretched out as she smiled,
"Mrs Rose? Your here alone where is Sophie." I said.
She didn't say anything and handed over the apple pie to me, " here take this as an another housewarming gift from me."
My mom came running down from the stairs, " and who might you be?" She said adjusting her loose sweater
Mrs. Rose tilted her head to her right and said, "Iam Mrs. Rose your sweet next door neighbour."
"Welcome." Mom said," Brooke why are you just standing there move aside let Mrs. Rose come in."
I was lost in thoughts didn't Silas say Mrs. Rose had arthritis and that she couldn't walk properly but here she is all by herself and she seems to be walking just fine even with her cane, I quickly moved aside and let Mrs. Rose enter the house, was she lying all this time. I thought, many old women do lie and her face looked like she lies all the time.
Mrs. Rose laughed as she entered our house, "young ladies this days." She said and passed by me. What does she mean by that, I thought
"I believe we haven't met yet." Mom said as she walked towards Mrs. Rose and offered a hand, but Mrs. Rose took a glance at mom's hand and ignored it, "Oh! Yes, you haven't but your daughter have and you know I don't do handshake- need to keep clean." she replied giving a sweet smile to mom.
"Ok," mom said awkwardly and she slowly withdrew her hands. Brad came running towards Mrs. Rose holding his airplane and stopped when he saw her, "who is this old witch?" He whispered to me.I chuckled, not trying to laugh out loud, Mrs Rose saw Brad and she kneeled before him " Little man, what is your name?" she said softly and close to him. Brad quickly pushed her away and yelled, "Eww! Your breath stinks."
I burst out laughing, Mrs. Rose smile quickly faded as she heard this and quickly stood up.
Mom pinched Brad's ear and yelled at him, " what did you say you little brat, apologize to Mrs. Rose right now!"
"Ow!" Brad cried, " but her breath really did stink, it smelled like rotten eggs and sausage."
I saw Mrs. Rose huffing her breath on her palm and smelling it.
"Iam so sorry, he doesn't know what he is saying." Mom said
Mrs. Rose rolled her eyes and said, " well you ought to teach your son some manners and how to talk to a lady!"
"Your not a lady your an old woman." Brad said again, I quickly grabbed Brad's hand and dragged him away from the living room, " Brad you little brat, your going too far."
Mrs. Rose eyes grew wide open, "What's wrong with this boy." She said
"I'll teach him a lesson later." Mom said, "would you like some tea?"
Mrs. Rose swallowed all her anger, " yes, you should teach him, who knows what he'll grow up to be one day and yes Iam fond of tea."
Mom gave her a smile which seemed forced then she quickly went to the kitchen to prepare the tea, Brad rushed to the kitchen along with mom, " mom can I have a slice of that pie." He said
"Go to your room!" She said " your not having any pie until and unless you learn some manners and talk to people."
"Ok I promise I'll talk nice to Mrs. Rose" he said
"Brooke!" Mom called out." Take your brother to his room."
"Com'on, Brad" I said and grabbed his arm dragging him away from the kitchen, he tried to hold the edges of the kitchen door but his finger slipped and I was able to pull him upstairs to his room, I pushed him inside and locked the door quickly and walked away from his room, I could hear him pounding on his door and screaming.
Mom was at the stove heating up water in kettle, she took out a tea bag from the shelf and placed it in the teapot and poured the hot water into the teapot, " Brooke, can you placed the scone and the sugar on the tray."
"Sure" I placed the sugar on the tray and opened the cookie pin but it was empty, there were only crust left.
"Mom, there are no scones, the pin is empty."
She looked at me as if confused, "That's impossible, I just refilled the pin in the morning today."
"Well, it's empty."
She came towards me, I moved out of her way and she checked the pin, "where did all scones went?" She said, "Did you eat it?"
"Mom I don't even like scones or any biscuits." I replied, " why would I steal them and the whole pin at that, maybe Brad stole it."
Mom started rubbing her head, " Brad's too small to steal and even if he did he wouldn't be able to eat all of it."
"That's why I was telling you." I said
"Telling what?"
"This house is haunted-"
Mom quickly snapped at me, " Brooke not this again! Don't start, just grabbed the tray and go to the living room."
"Then do we give her only tea?"
"I'll cut the pie and we'll have tea with it."
"Do you like it here?" Mrs. Rose said as she took a sip of tea from her cup and placed it on the saucer plate.
I opened my mouth and was about to tell her about how I heard a voice above my room but mom was giving me glare saying 'do not say anything' so I remained silent
"Yes, it's very pleasing to stay here." Mom said, I knew she was lying, " it's close to my work and the kids like here too."
Mrs. Rose didn't seemed to buy that, " well I thought you were going to say this place was bad, after all it's very old."
Mom just smiled at her she didn't like that very much. " How old is this house?"
"Older than you, my dear." Mrs. Rose replied
Mom looked surprised, " older than me?" She said.
"Silly, I was talking to your daughter. Of course the house is not as old as you."
Mom laughed she seemed a little bit irritated at the way Mrs. Rose talked, after that their conversation went on, I got bored so I got up from the seat and went upstairs to check on Brad, his room was silent, I knocked on his door but he didn't answer, "Brad?"
I quickly unlocked his door then I heard his voice speaking, "No, mom will scold me." He said
"Scold who?" I said as I opened his door, his body shook as he saw me, "Brooke you scared me."
"Who were you talking to?"
In front of Brad was Mr. Tommy sitting near the mirror, the teddy bear Aunt Marilyn gave him, he slowly glanced at Mr. Tommy.
"Was it Robbie again?" I asked grabbing him by his shoulder he slowly nodded.
"Don't worry, he cannot hurt you."
Brad slowly hold my hands,. " I'm scared." He said.
"Show yourself!!" I yelled,
" Brooke what are you doing?"
"Iam making sure Robbie shows himself up."
" Don't do that, he'll be angry."
I wanted to know who this Robbie was and what he was doing in our house, I don't know if Brad is telling the truth or not but I can believe him because I too have experienced some paranormal things today.
"Brooke, so you were here."
Mom was standing at the door, I wanted to tell her but I stopped trying because it was no use.
"Where is Mrs. Rose?" I said instead
"Oh she went home, that old lady really is something." Mom replied, " what to you want to have for dinner, I'm cooking today."